Alcohol and Drug Commissioning Framework for Northern Ireland 2013-16


An Alcohol and Drug Commissioning Framework for Northern Ireland 2013-16, Consultation Document has been produced by the Health and Social Care Board and the Public Health Agency.

Data records, kept here for reference:
~~~
# 1
Ge3Mo5C: optimized geometry, PBE.

Cell: 7.470 7.470 5.341 Å, 90.00 90.00 120.00°
Fractional positions:
Ge 0.404 0.000 0.750
Ge 0.404 0.404 0.250
Ge 0.000 0.596 0.250
Ge 0.000 0.404 0.750
Ge 0.596 0.596 0.750
Ge 0.596 0.000 0.250
Mo 0.667 0.333 0.000
Mo 0.333 0.667 0.500
Mo 0.667 0.333 0.500
Mo 0.333 0.667 0.000
Mo 0.774 0.000 0.750
Mo 0.774 0.774 0.250
Mo 0.000 0.226 0.250
Mo 0.000 0.774 0.750
Mo 0.226 0.226 0.750
Mo 0.226 0.000 0.250
C 0.000 0.000 0.500
C 0.000 0.000 0.000

Computed properties:
E_form	-0.08	eV per atom
size of the total moment	0.00	μB/atom
V	14.34	Å³/atom


# 2
PtAu: optimized geometry, PBE.

Cell: 2.845 2.845 4.802 Å, 90.00 90.00 120.00°
Fractional positions:
Pt 0.000 0.000 0.000
Au 0.333 0.667 0.500

Computed properties:
E_form	0.07	eV per atom
V	16.83	Å³/atom


# 3
MgH16I2O16: optimized geometry, PBE.

Cell: 5.587 10.812 12.147 Å, 66.71 90.00 90.00°
Fractional positions:
Mg 0.000 0.000 0.000
Mg 0.500 0.000 0.500
H 0.600 0.641 0.389
H 0.100 0.359 0.111
H 0.400 0.359 0.611
H 0.900 0.641 0.889
H 0.356 0.482 0.331
H 0.856 0.518 0.169
H 0.644 0.518 0.669
H 0.144 0.482 0.831
H 0.173 0.753 0.112
H 0.673 0.247 0.388
H 0.827 0.247 0.888
H 0.327 0.753 0.612
H 0.267 0.810 0.976
H 0.767 0.190 0.524
H 0.733 0.190 0.024
H 0.233 0.810 0.476
H 0.773 0.789 0.158
H 0.273 0.211 0.342
H 0.227 0.211 0.842
H 0.727 0.789 0.658
H 0.555 0.874 0.082
H 0.055 0.126 0.418
H 0.445 0.126 0.918
H 0.945 0.874 0.582
H 0.170 0.109 0.158
H 0.670 0.891 0.342
H 0.830 0.891 0.842
H 0.330 0.109 0.658
H 0.149 0.949 0.229
H 0.649 0.051 0.271
H 0.851 0.051 0.771
H 0.351 0.949 0.729
I 0.038 0.624 0.377
I 0.538 0.376 0.123
I 0.962 0.376 0.623
I 0.462 0.624 0.877
O 0.959 0.644 0.224
O 0.459 0.356 0.276
O 0.041 0.356 0.776
O 0.541 0.644 0.724
O 0.733 0.696 0.401
O 0.233 0.304 0.099
O 0.267 0.304 0.599
O 0.767 0.696 0.901
O 0.181 0.783 0.355
O 0.681 0.217 0.145
O 0.819 0.217 0.645
O 0.319 0.783 0.855
O 0.355 0.551 0.367
O 0.855 0.449 0.133
O 0.645 0.449 0.633
O 0.145 0.551 0.867
O 0.097 0.562 0.556
O 0.597 0.438 0.944
O 0.903 0.438 0.444
O 0.403 0.562 0.056
O 0.236 0.836 0.046
O 0.736 0.164 0.454
O 0.764 0.164 0.954
O 0.264 0.836 0.546
O 0.721 0.882 0.106
O 0.221 0.118 0.394
O 0.279 0.118 0.894
O 0.779 0.882 0.606
O 0.126 0.025 0.151
O 0.626 0.975 0.349
O 0.874 0.975 0.849
O 0.374 0.025 0.651

Computed properties:
E_form	-1.22	eV per atom
size of the total moment	0.00	μB/atom
V	9.63	Å³/atom

=====

Record 1
MgV2Cu2O6 | PBE with a Hubbard U | optimized geometry

a b c (Å): 5.972 6.017 5.867
angles (deg): 52.47 51.52 51.20
Fractional coordinates of all 11 atoms:
Mg1 0.500 0.500 0.500
V1 0.676 0.691 0.682
V2 0.324 0.309 0.317
Cu1 0.916 0.905 0.923
Cu2 0.084 0.095 0.077
O1 0.310 0.908 0.559
O2 0.896 0.555 0.325
O3 0.555 0.305 0.917
O4 0.690 0.092 0.441
O5 0.445 0.695 0.083
O6 0.104 0.445 0.675

Values from the calculation:
Formation enthalpy at 0 K: -2007 meV/atom
Distance to the lowest polymorph of the same formula: 0 meV per atom
Raw total energy: -72.2 eV/cell
~~~

Your comments are invited on this document. Additional documents are also provided:
• Cover letter from Mr John Compton and Dr Eddie Rooney
• Consultation Questions
• Signed equality template

Potential respondees are encouraged you consider the questions outlined in the consultation questions document and respond to by 18 April 2013.

Alcohol and Drug Commissioning Framework for Northern Ireland 2013-16 01 March 2013 (3).pdf

Consultation Questions drug and alcohol commissioning framework.pdf

Drug and Alcohol Commissioning Framework Consultation Document.pdf

Signed equality template 11 march.pdf

Data records that have nothing to do with the text:
........
No. 1
YReN3 | PBE-GGA | optimized geometry

Structure (POSCAR):
```
YReN3
1.0
-3.088 -4.030 1.849
0.061 -2.386 -5.099
6.339 -3.969 1.933
Y Re N
4 4 12
Direct
0.488 0.439 0.250
0.012 0.939 0.250
0.512 0.561 0.750
0.988 0.061 0.750
0.500 0.000 0.500
0.000 0.500 0.000
0.000 0.500 0.500
0.500 0.000 0.000
0.700 0.297 0.543
0.300 0.703 0.043
0.200 0.203 0.043
0.418 0.982 0.750
0.918 0.518 0.250
0.300 0.703 0.457
0.800 0.797 0.957
0.700 0.297 0.957
0.800 0.797 0.543
0.082 0.482 0.750
0.200 0.203 0.457
0.582 0.018 0.250
```

No. 2
Ho2Zr2O7 | PBE-GGA | optimized geometry

Structure (POSCAR):
```
Ho2Zr2O7
1.0
-4.201 -5.416 2.973
-4.234 1.419 5.991
-7.438 0.255 -0.658
Ho Zr O
4 4 14
Direct
0.125 0.125 0.625
0.125 0.625 0.125
0.125 0.125 0.125
0.625 0.125 0.125
0.125 0.625 0.625
0.625 0.625 0.625
0.625 0.125 0.625
0.625 0.625 0.125
0.283 0.717 0.717
0.533 0.967 0.967
0.717 0.283 0.717
0.717 0.717 0.283
0.283 0.717 0.283
0.283 0.283 0.717
0.000 0.000 0.000
0.250 0.250 0.250
0.967 0.533 0.967
0.533 0.533 0.967
0.967 0.967 0.533
0.533 0.967 0.533
0.717 0.283 0.283
0.967 0.533 0.533
```

No. 3
NaTa4O8 | PBE-GGA | optimized geometry

Structure (POSCAR):
```
NaTa4O8
1.0
2.508 -5.303 4.016
0.700 4.078 5.781
-9.179 -1.301 2.844
Na Ta O
3 12 24
Direct
0.617 0.383 0.116
0.906 0.094 0.405
0.381 0.619 0.883
0.101 0.899 0.100
0.602 0.398 0.603
0.396 0.604 0.397
0.899 0.101 0.897
0.597 0.837 0.619
0.105 0.331 0.113
0.669 0.895 0.113
0.163 0.403 0.619
0.330 0.104 0.885
0.837 0.599 0.382
0.401 0.163 0.382
0.896 0.670 0.885
0.586 0.084 0.250
0.082 0.579 0.753
0.421 0.918 0.753
0.916 0.414 0.250
0.809 0.810 0.500
0.326 0.326 0.000
0.190 0.191 0.500
0.674 0.674 0.000
0.179 0.092 0.236
0.679 0.593 0.734
0.129 0.595 0.453
0.629 0.100 0.958
0.092 0.183 0.765
0.593 0.679 0.265
0.599 0.130 0.545
0.100 0.629 0.043
0.817 0.908 0.765
0.321 0.407 0.265
0.870 0.401 0.545
0.371 0.900 0.043
0.908 0.821 0.236
0.407 0.321 0.734
0.405 0.871 0.453
0.900 0.371 0.958
```

No. 4
Rb4Hf3S14 | PBE-GGA | optimized geometry

Structure (POSCAR):
```
Rb4Hf3S14
1.0
4.205 11.037 0.000
-4.205 11.037 0.000
0.000 5.364 12.760
Rb Hf S
8 6 28
Direct
0.022 0.384 0.890
0.616 0.978 0.610
0.978 0.616 0.110
0.384 0.022 0.390
0.197 0.672 0.644
0.328 0.803 0.856
0.803 0.328 0.356
0.672 0.197 0.144
0.921 0.416 0.588
0.584 0.079 0.912
0.079 0.584 0.412
0.416 0.921 0.088
0.766 0.234 0.750
0.234 0.766 0.250
0.885 0.195 0.894
0.805 0.115 0.606
0.115 0.805 0.106
0.195 0.885 0.394
0.654 0.484 0.585
0.516 0.346 0.915
0.346 0.516 0.415
0.484 0.654 0.085
0.071 0.100 0.632
0.900 0.929 0.868
0.929 0.900 0.368
0.100 0.071 0.132
0.761 0.431 0.793
0.569 0.239 0.707
0.239 0.569 0.207
0.431 0.761 0.293
0.990 0.568 0.601
0.432 0.010 0.899
0.010 0.432 0.399
0.568 0.990 0.101
0.853 0.810 0.832
0.190 0.147 0.668
0.147 0.190 0.168
0.810 0.853 0.332
0.311 0.405 0.890
0.595 0.689 0.610
0.689 0.595 0.110
0.405 0.311 0.390
```

| no. | DFT formation energy (meV/atom) |
| --- | --- |
| 1 | -888 |
| 2 | -3864 |
| 3 | -3025 |
| 4 | -1449 |
........

PHA_HSCB response to Commissioning Framework Consultation.pdf

All other individual responses are attached below as PDF files.


Attachment Size
8. BHSCT.pdf 262.9 KB
24. Liz McShane Independant Researcher.pdf 237.61 KB
48. APPENDIX 1 TOR Regional Trauma Alcohol and Drugs N Ireland Best Practice Forum.pdf 175.03 KB
2. Addiction NI.pdf 240.45 KB
19. DASP Response to Drug and Alcohol Commissioning Framework April 2013 final.pdf 189.91 KB
43. Regional SUN response to CFW.pdf 232.43 KB
Consultation Questions drug and alcohol commissioning framework.pdf 128.88 KB
14. Daisy.pdf 303.67 KB
38. PBNI.pdf 256.72 KB
Ards Borough Council.pdf 5.69 KB
9. BREAKTHRU.pdf 76.47 KB
25. Lundbeck Ltd.pdf 242.23 KB
48. Appendix 2 Trauma Alcohol and Drugs Comorbidity - Report.pdf 1.42 MB
4. The ARC healthy living .pdf 159.21 KB
20. Extern.pdf 279.63 KB
44. SHSCT.pdf 186.1 KB
Drug and Alcohol Commissioning Framework Consultation Document.pdf 2.52 MB
15. Department of Education.pdf 153.79 KB
39. SUN response to CFW.pdf 232.38 KB
10. Carlisle House.pdf 447.18 KB
26. Mental Health & Learning Disability.pdf 213.85 KB
48. TRAUMA Consultation Response.pdf 360.02 KB
5. Ascert.pdf 389.82 KB
21. Gerry McDonald.pdf 157.13 KB
45. Simon Community.pdf 141.44 KB
signed equality template 11 march.pdf 1.12 MB
16. Derry Healthy Cities.pdf 233.23 KB
40. ROYAL COLLEGE OF Psych NI.pdf 240.14 KB
11. Carlisle House Service User Group.pdf 447.93 KB
35. Northlands Response.pdf 271.93 KB
6. Barnardo's NI Consultation Response.pdf 273.48 KB
22. ISF response to Commissioning Framework Consultation - 15 04 13.pdf 240.43 KB
46. South Belfast Partnership Board.pdf 371.54 KB
PHA_HSCB response to Commissioning Framework Consultation.pdf 597.5 KB
17. Drink Think.pdf 235.71 KB
41. SEHSCT.pdf 186.12 KB
12. CHILL.pdf 193.05 KB
36. Omagh District Council.pdf 67.07 KB
51. Western Investing For Health Partnership.pdf 77.8 KB
7. BDACT RESPONSE.pdf 160.87 KB
23. Lisburn YMCA.pdf 251.41 KB
47. TIPSA.pdf 291.14 KB
1. ACENT (NI).pdf 242.92 KB
18. DOT DART.pdf 322.93 KB
42. & 49. SELB and WELB Philomena McDermott.pdf 216.98 KB
Alcohol and Drug Commissioning Framework for Northern Ireland 2013-16 01 March 2013 (3).pdf 151.21 KB
13. CRUN response.pdf 388.9 KB
52. whsct.pdf 409.59 KB